Excerpt.
'''
Below is 2 unconnected molecules or ions with the total composition C3H5BrO, with properties calculated with ωB97M-V/def2-TZVPD.

## Properties
Lowest unoccupied orbital energy ... 0.0 eV
Kohn-Sham gap ... 0.331 Ha

Atoms and positions in Å:
Br -0.480 2.048 -0.585
H -1.999 0.117 0.814
O 1.043 -0.042 -1.588
C -1.290 -0.614 0.992
C -0.080 -0.726 0.393
C 0.484 0.364 -0.438
H -1.801 -1.284 1.751
H 1.510 0.693 -2.139
H 1.865 0.951 0.354
H 0.750 -1.505 0.447

Here are the natural (NBO) charges for atoms 1 to 4, given in e: -0.01 0.20 -0.72 -0.34

=====

Below is C3H5BrO in the gas phase, with properties calculated with ωB97M-V/def2-TZVPD.

## Properties
Lowest unoccupied orbital energy ... 0.5 eV
Kohn-Sham gap ... 0.382 Ha
SMILES string ... C[C@@H](Br)C=O

Atoms and positions in Å:
H 0.636 0.580 -1.172
O 0.243 -2.547 0.153
Br -2.139 0.909 -0.150
C 0.737 0.952 -0.060
C -0.439 0.173 0.614
H 1.720 0.488 0.330
H 0.634 2.082 -0.070
H -0.613 0.149 1.634
H -0.583 -1.347 -1.170
C -0.194 -1.439 -0.108

Here are the natural (NBO) charges for atoms 1 to 4, given in e: 0.22 -0.50 -0.03 -0.66

=====

Below is C3H5BrO2 in the gas phase, with properties calculated with ωB97M-V/def2-TZVPD.

## Properties
Lowest unoccupied orbital energy ... 0.9 eV
Kohn-Sham gap ... 0.405 Ha
SMILES string ... O[C@H](Br)[C@H]1CO1

Atoms and positions in Å:
C -1.355 1.067 -0.242
O 0.797 -1.893 -0.122
O -1.478 -0.254 0.273
H -1.896 1.777 0.427
C -0.270 0.326 0.418
H -1.318 1.385 -1.211
H 1.030 -2.332 0.694
H 0.832 -0.527 -1.498
Br 2.724 0.235 0.130
C 0.960 -0.525 -0.312
H -0.027 0.741 1.442

Here are the natural (NBO) charges for atoms 1 to 4, given in e: -0.11 -0.71 -0.46 0.18

=====

Below is C3H5BrS2 in the gas phase, with properties calculated with ωB97M-V/def2-TZVPD.

## Properties
Lowest unoccupied orbital energy (spin up / spin down) ... -3.2 / -3.2 eV
Kohn-Sham gap (spin up / spin down) ... 0.204 / 0.204 Ha

Atoms and positions in Å:
H -1.581 -1.396 -0.580
C -0.563 -0.042 0.575
H -0.065 0.262 1.410
S 2.892 -1.614 0.012
C -0.597 1.156 -0.377
S 0.798 2.169 0.142
H -1.628 1.602 -0.515
H -0.219 0.769 -1.428
H -0.930 -2.138 0.966
C -1.024 -1.216 0.278
Br 2.918 0.449 -0.483

Here are the natural (NBO) charges for atoms 1 to 4, given in e: 0.19 -0.21 0.20 -0.25

=====

Below is 2 unconnected molecules or ions with the total composition C3H5Cl, with properties calculated with ωB97M-V/def2-TZVPD.

## Properties
Lowest unoccupied orbital energy ... 0.8 eV
Kohn-Sham gap ... 0.408 Ha
SMILES string ... C#CCl.C

Atoms and positions in Å:
Cl -2.116 0.439 0.915
C 1.322 -0.409 0.821
H 0.754 -0.602 -0.008
H 1.885 -1.237 1.019
H -1.102 0.622 -2.801
C -1.481 0.474 -1.798
H 0.686 -0.266 1.665
C -1.845 0.462 -0.688
H 1.898 0.516 0.876

Here are the natural (NBO) charges for atoms 1 to 4, given in e: 0.13 -0.84 0.21 0.21

=====

Below is C3H5Cl2F in the gas phase, with properties calculated with ωB97M-V/def2-TZVPD.

## Properties
Lowest unoccupied orbital energy ... 0.8 eV
Kohn-Sham gap ... 0.441 Ha
SMILES string ... CCC(F)(Cl)Cl

Atoms and positions in Å:
Cl 0.316 1.647 -0.158
Cl 1.539 -0.945 -0.331
H -1.222 0.091 -1.433
H -0.880 -1.508 -0.906
H -3.065 0.372 0.255
H -3.114 -0.740 -1.005
H -2.785 -1.176 0.612
F 0.057 -0.301 1.528
C 0.187 -0.069 0.148
C -2.556 -0.454 -0.118
C -1.127 -0.519 -0.525

Here are the natural (NBO) charges for atoms 1 to 4, given in e: 0.00 0.07 0.23 0.22

=====

The calculation returns the following energy relative to the best compared isomer or geometry (same formula, charge and spin) values, one per record and in order: 68.18; 25.24; 54.28; 60.32; 50.55; 18.73 kcal per mole.
'''

Assignment.
It remains to return the contents above unchanged.

Solution.
Below is 2 unconnected molecules or ions with the total composition C3H5BrO, with properties calculated with ωB97M-V/def2-TZVPD.

## Properties
Lowest unoccupied orbital energy ... 0.0 eV
Kohn-Sham gap ... 0.331 Ha

Atoms and positions in Å:
Br -0.480 2.048 -0.585
H -1.999 0.117 0.814
O 1.043 -0.042 -1.588
C -1.290 -0.614 0.992
C -0.080 -0.726 0.393
C 0.484 0.364 -0.438
H -1.801 -1.284 1.751
H 1.510 0.693 -2.139
H 1.865 0.951 0.354
H 0.750 -1.505 0.447

Here are the natural (NBO) charges for atoms 1 to 4, given in e: -0.01 0.20 -0.72 -0.34

=====

Below is C3H5BrO in the gas phase, with properties calculated with ωB97M-V/def2-TZVPD.

## Properties
Lowest unoccupied orbital energy ... 0.5 eV
Kohn-Sham gap ... 0.382 Ha
SMILES string ... C[C@@H](Br)C=O

Atoms and positions in Å:
H 0.636 0.580 -1.172
O 0.243 -2.547 0.153
Br -2.139 0.909 -0.150
C 0.737 0.952 -0.060
C -0.439 0.173 0.614
H 1.720 0.488 0.330
H 0.634 2.082 -0.070
H -0.613 0.149 1.634
H -0.583 -1.347 -1.170
C -0.194 -1.439 -0.108

Here are the natural (NBO) charges for atoms 1 to 4, given in e: 0.22 -0.50 -0.03 -0.66

=====

Below is C3H5BrO2 in the gas phase, with properties calculated with ωB97M-V/def2-TZVPD.

## Properties
Lowest unoccupied orbital energy ... 0.9 eV
Kohn-Sham gap ... 0.405 Ha
SMILES string ... O[C@H](Br)[C@H]1CO1

Atoms and positions in Å:
C -1.355 1.067 -0.242
O 0.797 -1.893 -0.122
O -1.478 -0.254 0.273
H -1.896 1.777 0.427
C -0.270 0.326 0.418
H -1.318 1.385 -1.211
H 1.030 -2.332 0.694
H 0.832 -0.527 -1.498
Br 2.724 0.235 0.130
C 0.960 -0.525 -0.312
H -0.027 0.741 1.442

Here are the natural (NBO) charges for atoms 1 to 4, given in e: -0.11 -0.71 -0.46 0.18

=====

Below is C3H5BrS2 in the gas phase, with properties calculated with ωB97M-V/def2-TZVPD.

## Properties
Lowest unoccupied orbital energy (spin up / spin down) ... -3.2 / -3.2 eV
Kohn-Sham gap (spin up / spin down) ... 0.204 / 0.204 Ha

Atoms and positions in Å:
H -1.581 -1.396 -0.580
C -0.563 -0.042 0.575
H -0.065 0.262 1.410
S 2.892 -1.614 0.012
C -0.597 1.156 -0.377
S 0.798 2.169 0.142
H -1.628 1.602 -0.515
H -0.219 0.769 -1.428
H -0.930 -2.138 0.966
C -1.024 -1.216 0.278
Br 2.918 0.449 -0.483

Here are the natural (NBO) charges for atoms 1 to 4, given in e: 0.19 -0.21 0.20 -0.25

=====

Below is 2 unconnected molecules or ions with the total composition C3H5Cl, with properties calculated with ωB97M-V/def2-TZVPD.

## Properties
Lowest unoccupied orbital energy ... 0.8 eV
Kohn-Sham gap ... 0.408 Ha
SMILES string ... C#CCl.C

Atoms and positions in Å:
Cl -2.116 0.439 0.915
C 1.322 -0.409 0.821
H 0.754 -0.602 -0.008
H 1.885 -1.237 1.019
H -1.102 0.622 -2.801
C -1.481 0.474 -1.798
H 0.686 -0.266 1.665
C -1.845 0.462 -0.688
H 1.898 0.516 0.876

Here are the natural (NBO) charges for atoms 1 to 4, given in e: 0.13 -0.84 0.21 0.21

=====

Below is C3H5Cl2F in the gas phase, with properties calculated with ωB97M-V/def2-TZVPD.

## Properties
Lowest unoccupied orbital energy ... 0.8 eV
Kohn-Sham gap ... 0.441 Ha
SMILES string ... CCC(F)(Cl)Cl

Atoms and positions in Å:
Cl 0.316 1.647 -0.158
Cl 1.539 -0.945 -0.331
H -1.222 0.091 -1.433
H -0.880 -1.508 -0.906
H -3.065 0.372 0.255
H -3.114 -0.740 -1.005
H -2.785 -1.176 0.612
F 0.057 -0.301 1.528
C 0.187 -0.069 0.148
C -2.556 -0.454 -0.118
C -1.127 -0.519 -0.525

Here are the natural (NBO) charges for atoms 1 to 4, given in e: 0.00 0.07 0.23 0.22

=====

The calculation returns the following energy relative to the best compared isomer or geometry (same formula, charge and spin) values, one per record and in order: 68.18; 25.24; 54.28; 60.32; 50.55; 18.73 kcal per mole.